(What to do)
Restate the lines further down from the one with "402" to the one with "0.5082" without altering anything, please.

(Contents)
=====
[1]
SrCa3Cu2O6: simulated powder X-ray diffraction pattern (Cu Kα, 1.54184 Å), based on the GGA-PBE geometry in Alexandria.
No peak broadening, texture or thermal motion is included.

Structure:
Lattice parameters (Å, degrees): 6.6744 6.6744 6.7152 104.53 104.53 33.65
Positions (direct):
Sr  0.0000  0.0000  0.0000
Ca  0.2962  0.2962  0.1508
Ca  0.2972  0.2972  0.6454
Ca  0.9991  0.9991  0.4985
Cu  0.6475  0.6475  0.8139
Cu  0.6495  0.6495  0.3334
O  0.1511  0.1511  0.8161
O  0.1523  0.1523  0.3335
O  0.4878  0.4878  0.2547
O  0.4880  0.4880  0.7322
O  0.8040  0.8040  0.9023
O  0.8090  0.8090  0.4039

Most intense lines, 2θ from 5° to 70°, in order of rising 2θ:
2θ/deg  I (rel.)
14.37  238
31.79  518
34.49  681
35.42  1000
44.06  276
47.04  284
54.67  167
57.76  327
59.63  263
66.42  139


[2]
SrCa2CuO4: simulated powder X-ray diffraction pattern (Cu Kα, 1.54184 Å), based on the GGA-PBE geometry in Alexandria.
No peak broadening, texture or thermal motion is included.

Structure:
Lattice parameters (Å, degrees): 6.0108 6.0108 11.6668 90.00 90.00 147.09
Positions (direct):
Sr  0.1132  0.8868  0.7500
Sr  0.8868  0.1132  0.2500
Ca  0.3710  0.6290  0.5458
Ca  0.3710  0.6290  0.9542
Ca  0.6290  0.3710  0.0458
Ca  0.6290  0.3710  0.4542
Cu  0.1536  0.8464  0.2500
Cu  0.8464  0.1536  0.7500
O  0.0000  0.0000  0.0000
O  0.0000  0.0000  0.5000
O  0.2660  0.7340  0.1234
O  0.2660  0.7340  0.3766
O  0.4409  0.5591  0.7500
O  0.5591  0.4409  0.2500
O  0.7340  0.2660  0.6234
O  0.7340  0.2660  0.8766

Most intense lines, 2θ from 5° to 70°, in order of rising 2θ:
2θ/deg  I (rel.)
15.19  466
30.65  475
31.03  364
31.39  724
36.07  402
38.55  1000
44.18  304
50.29  229
53.20  207
53.85  219


[3]
Sr3CaCu2O6: simulated powder X-ray diffraction pattern (Cu Kα, 1.54184 Å), based on the GGA-PBE geometry in Alexandria.
No peak broadening, texture or thermal motion is included.

Structure:
Lattice parameters (Å, degrees): 6.8175 6.8175 6.9720 104.79 104.79 33.55
Positions (direct):
Sr  0.0000  0.0000  0.0000
Sr  0.0020  0.0020  0.4957
Sr  0.7060  0.7060  0.8507
Ca  0.7068  0.7068  0.3500
Cu  0.3523  0.3523  0.6649
Cu  0.3534  0.3534  0.1824
O  0.1974  0.1974  0.1067
O  0.1982  0.1982  0.5852
O  0.5082  0.5082  0.7516
O  0.5127  0.5127  0.2536
O  0.8494  0.8494  0.6630
O  0.8500  0.8500  0.1806

Most intense lines, 2θ from 5° to 70°, in order of rising 2θ:
2θ/deg  I (rel.)
31.17  600
33.42  728
34.37  1000
43.14  239
45.15  155
46.13  269
52.50  174
56.28  331
58.16  289
62.33  174


[4]
SrCaCu2O4: simulated powder X-ray diffraction pattern (Cu Kα, 1.54184 Å), based on the GGA-PBE geometry in Alexandria.
No peak broadening, texture or thermal motion is included.

Structure:
Lattice parameters (Å, degrees): 5.1556 5.1556 5.1556 115.01 115.01 98.88
Positions (direct):
Sr  0.0000  0.0000  0.0000
Ca  0.5000  0.5000  0.0000
Cu  0.2500  0.7500  0.5000
Cu  0.7500  0.2500  0.5000
O  0.0000  0.0000  0.5000
O  0.0000  0.5000  0.0000
O  0.5000  0.0000  0.0000
O  0.5000  0.5000  0.5000

Most intense lines, 2θ from 5° to 70°, in order of rising 2θ:
2θ/deg  I (rel.)
20.80  104
26.59  45
32.32  354
35.24  1000
38.75  46
46.36  336
54.76  97
59.55  404
65.04  98
67.66  96


[5]
SrCa2Cu3O6: simulated powder X-ray diffraction pattern (Cu Kα, 1.54184 Å), based on the GGA-PBE geometry in Alexandria.
No peak broadening, texture or thermal motion is included.

Structure:
Lattice parameters (Å, degrees): 3.7941 3.7941 11.8229 90.00 90.00 90.00
Positions (direct):
Sr  0.0000  0.0000  0.0000
Ca  0.0000  0.0000  0.2891
Ca  0.0000  0.0000  0.7109
Cu  0.5000  0.5000  0.1601
Cu  0.5000  0.5000  0.5000
Cu  0.5000  0.5000  0.8399
O  0.0000  0.5000  0.1509
O  0.0000  0.5000  0.8491
O  0.5000  0.0000  0.1509
O  0.5000  0.0000  0.8491
O  0.5000  0.5000  0.3495
O  0.5000  0.5000  0.6505

Most intense lines, 2θ from 5° to 70°, in order of rising 2θ:
2θ/deg  I (rel.)
7.48  634
24.64  141
32.76  1000
33.40  559
38.61  199
46.06  119
47.95  356
58.08  120
59.30  346
68.68  125


[6]
=====

(Response)
36.07  402
38.55  1000
44.18  304
50.29  229
53.20  207
53.85  219


[3]
Sr3CaCu2O6: simulated powder X-ray diffraction pattern (Cu Kα, 1.54184 Å), based on the GGA-PBE geometry in Alexandria.
No peak broadening, texture or thermal motion is included.

Structure:
Lattice parameters (Å, degrees): 6.8175 6.8175 6.9720 104.79 104.79 33.55
Positions (direct):
Sr  0.0000  0.0000  0.0000
Sr  0.0020  0.0020  0.4957
Sr  0.7060  0.7060  0.8507
Ca  0.7068  0.7068  0.3500
Cu  0.3523  0.3523  0.6649
Cu  0.3534  0.3534  0.1824
O  0.1974  0.1974  0.1067
O  0.1982  0.1982  0.5852
O  0.5082  0.5082  0.7516